I want to everyone loves me otherwise I get whiney!
『寝ても、覚めても、ゆきりんワールド♪ 夢中にさせちゃうぞ!』
Both awake and in sleep you’re in Yukirin’s world! I make you GAGA!
Team B captain, forver idol YUKIRIN♪
Idol for lyfe! Cheer up Yuki Kashiwagi aka Yukirin Hailing from Kagoshima!!
I’m pretty sure some day if the war between China and Japan would occur, it must be because both try to claim the right to own “Yurkrin” 柏木由紀.
Yukirin ranked 3rd in the last general election and makes tons of media appearance these days. She become a member of AKB48 from the 3rd audition, along with Haruka Nakagawa, Sayaka Nakaya and Mayuyu. She has captured hearts of Japanese men with her Anime-like personality, voice and looks. By Anime-like I mean she colors this noisy world with colorful flower colors by the way. So why I say her existence may trigger the war between Japan and China? Because just like or more than in Japan Yukirin is becoming iconic figure in China!!

Awesome Japanese fans translated the magazine’s article!!
– CD売り上げなどは気になっていない。ファンの支えと応援のほうが。ファンの応援はプレッシャーを克服させる。
I don’t care CD sales. Rather I care fans’ support and cheers. Their cheer help me overcome pressure.
– 香港に来た時はたくさんのファンと記者が待っていた。空港を出るのに時間が掛かったけど、たくさんのファンが付いていて、ファンの情熱を感じられて気持ちよかったそうだ。
When I came to Hong Kong, so many fans and reporters were waiting for me. It took a time to get out of airport, but a lot of fans followed me, and I could feel their passion. That felt so nice.
– オフの時は絶対目覚まし時計をかけない。時々他のメンバーと一緒に遊園地に遊びに行く。
I don’t set alarm when I’m off. Sometimes I go to Amusement-park with other members.
– 花ざかりの君たちへに出演した後はドラマについて面白く思っている。これからも挑戦したいと。
After Drama “Hanazakarino Kimitachihe”, I’m interested in Drama. (she is now a member of “AKB Thetre Club”) I want to perform more Drama in the future.
– 今年の総選挙の目標については頑張ってファンへの恩返しをする。
I want to requite for fans of thier support for the last election.
– チームAの片山とチームKの宮沢と仲良く。
Friends with Katayama (Team A) and Miyazawa (team K)
– 香港の夜景は美しい。見たい。
Nightscape of HK is beautiful. I want to I want to see with my own eyes.
– Give Me Fiveは最初トロンボーンをやりたいと言っていたけど、ドラム担当になった。よく頑張ってから段々ドラムを面白く感じている。
Initially I said I wanted to play trombone for “Give Me Five” but I ended up playing Drum. After practicing hard, I became liking it!
– 今年AKBINGOでは48グループで最も運悪いメンバーと判定されたけど、今までは悪かったことがないそうだ。かえってこれを心配するファンもいて、少し不安を感じている。だけど何事にも気をつけて頑張ると。
In this year’s AKBINGO, I was judged as the most un-lucky member, but I never thought I was unlucky until then. Since then, some fans worry about me, and it made me a little bit uneasy. But I try to be careful for everything.
– 震災復興応援活動については被災者に応援を送るはずだったけど、むしろあそこのファンらから強く励まされたと。
We were supposed to cheer up the victims of Tsunami, but contrarily, it was us that were cheered up by fans there.
– AKBは珍しくよく沢山のファンに近く会えるアイドルグループだから、毎回ファンに会えた時にAKBのメンバーであることを嬉しく感じている。
Unlike other idols AKB48 is close to fans and can meet a lot of fans actually. Whenever I meet fans and talk together, I feel it’s s nice to be a member of this group.

## Crystal structures that have nothing to do with the entry
********
# 1
Starting from DFT lattice parameters and positions (GGA-PBE), the powder diffraction line list of Ag2HgO was calculated for CuKα.
Neutral-atom scattering factors, no anomalous dispersion.

Cell and atoms:
```
Ag2HgO
1.0
5.651 0.000 0.000
0.000 5.007 0.000
0.000 0.000 9.800
Ag Hg O
8 4 4
Direct
0.089 0.218 0.082
0.089 0.282 0.418
0.411 0.718 0.418
0.411 0.782 0.082
0.589 0.218 0.918
0.589 0.282 0.582
0.911 0.718 0.582
0.911 0.782 0.918
0.002 0.250 0.750
0.498 0.750 0.750
0.502 0.250 0.250
0.998 0.750 0.250
0.250 0.000 0.599
0.250 0.500 0.901
0.750 0.000 0.401
0.750 0.500 0.099
```

Main lines, by angle (2θ = 10–90°):
d/Å  2theta  I/Imax
4.898  18.1  8
3.500  25.4  16
2.826  31.7  22
2.503  35.9  23
2.462  36.5  100
1.874  48.6  16
1.736  52.7  13
1.633  56.3  13
1.437  64.9  15
1.368  68.6  11

=====

# 2
Starting from DFT lattice parameters and positions (GGA-PBE), the powder diffraction line list of AgHgO2 was calculated for CuKα.
Neutral-atom scattering factors, no anomalous dispersion.

Cell and atoms:
```
AgHgO2
1.0
6.212 0.000 0.000
0.000 6.557 0.000
0.000 0.000 3.403
Ag Hg O
2 2 4
Direct
0.000 0.000 0.000
0.500 0.500 0.500
0.000 0.500 0.000
0.500 0.000 0.500
0.189 0.100 0.500
0.311 0.600 0.000
0.689 0.400 0.000
0.811 0.900 0.500
```

Main lines, by angle (2θ = 10–90°):
d/Å  2theta  I/Imax
4.510  19.7  16
3.278  27.2  74
3.106  28.7  51
2.984  29.9  100
2.255  40.0  48
2.207  40.9  92
1.769  51.7  28
1.557  59.4  33
1.437  64.9  25
1.358  69.2  19

=====

# 3
Starting from DFT lattice parameters and positions (GGA-PBE), the powder diffraction line list of AgHgP2O6 was calculated for CuKα.
Neutral-atom scattering factors, no anomalous dispersion.

Cell and atoms:
```
AgHgP2O6
1.0
5.957 -5.218 0.000
5.957 5.218 0.000
-1.018 0.000 4.695
Ag Hg P O
2 2 4 12
Direct
0.242 0.758 0.750
0.758 0.242 0.250
0.075 0.925 0.250
0.925 0.075 0.750
0.220 0.392 0.250
0.392 0.220 0.750
0.608 0.780 0.250
0.780 0.608 0.750
0.076 0.280 0.196
0.182 0.581 0.346
0.280 0.076 0.696
0.314 0.379 0.970
0.379 0.314 0.470
0.419 0.818 0.154
0.581 0.182 0.846
0.621 0.686 0.530
0.686 0.621 0.030
0.720 0.924 0.304
0.818 0.419 0.654
0.924 0.720 0.804
```

Main lines, by angle (2θ = 10–90°):
d/Å  2theta  I/Imax
7.771  11.4  100
5.821  15.2  66
3.638  24.5  52
3.226  27.7  30
2.801  32.0  68
2.643  33.9  28
2.417  37.2  28
2.348  38.3  20
2.144  42.2  17
2.053  44.1  31

=====

# 4
Starting from DFT lattice parameters and positions (GGA-PBE), the powder diffraction line list of AgHg2PO4 was calculated for CuKα.
Neutral-atom scattering factors, no anomalous dispersion.

Cell and atoms:
```
AgHg2PO4
1.0
8.870 0.000 0.000
0.000 9.510 0.000
0.000 0.000 6.274
Ag Hg P O
4 8 4 16
Direct
0.032 0.146 0.000
0.468 0.646 0.000
0.532 0.354 0.000
0.968 0.854 0.000
0.249 0.965 0.214
0.249 0.965 0.786
0.251 0.465 0.214
0.251 0.465 0.786
0.749 0.535 0.214
0.749 0.535 0.786
0.751 0.035 0.214
0.751 0.035 0.786
0.043 0.714 0.500
0.457 0.214 0.500
0.543 0.786 0.500
0.957 0.286 0.500
********

Megane Mariko & Megane Yukirin

Yukirin from home?

Sashiko lol
And… this is the final blow!!

I feel nauseated because she is just too cute…